<<<
[1]
Molecular formula: C22H42Cl3N2O4SScSi
Method: DFT, ωB97M-V with the def2-TZVPD basis set

The geometry in XYZ format:
```
76
Properties=species:S:1:pos:R:3:forces:R:3
O -0.40794 3.10820 -0.01699 0.13 0.34 1.07
H -3.83306 2.65579 -3.73036 -0.04 0.15 -0.38
H -0.68528 -1.19540 4.52520 0.11 -0.03 -0.61
N 1.33009 3.11913 1.48375 -0.88 0.46 -0.06
Cl -1.17806 -1.38164 -1.80451 0.10 -0.14 0.09
C 4.02994 1.18535 -1.77733 0.65 -0.46 -0.29
H 5.75823 -1.37763 -3.23332 0.01 -0.11 0.39
H 2.23087 0.60440 1.89835 -0.15 -0.49 0.17
C 1.98049 -1.54401 1.72738 0.17 0.56 -0.06
Sc -1.13464 1.39809 -1.17508 -0.64 -0.34 -0.82
H 6.44717 -1.81683 0.75954 -0.42 -0.38 0.10
C 4.68109 -0.85108 2.72249 -0.21 -0.62 -1.01
H 3.44944 1.69127 -0.98584 0.34 -0.71 -0.60
H 1.83161 -1.94849 -2.42884 0.37 0.12 -0.22
C 5.88411 -0.71939 3.58436 0.31 0.38 0.02
H -4.57821 2.25516 -5.32515 0.06 0.14 0.07
H 3.01978 -1.50285 -3.74844 -0.79 -0.01 -0.13
C 1.79616 3.17055 2.85678 -0.15 -0.03 0.21
C -2.83355 0.49829 -3.34290 0.60 -0.81 -0.32
C 1.67588 -0.26990 2.24843 0.28 -0.61 0.79
H 3.60930 1.46344 -2.75481 0.31 0.23 0.24
O 3.40596 -0.90670 -0.21227 -0.33 -0.67 2.95
C 0.13767 -2.45917 2.95812 -0.32 0.04 0.54
H 1.36632 -3.59664 1.58301 -0.26 0.28 0.00
C 2.49387 -1.16776 -2.83497 1.04 0.00 0.08
C 0.03809 2.98620 1.15765 0.34 -0.17 -0.89
H -3.95217 0.36123 2.42418 0.13 -0.19 0.27
N -3.19598 0.88068 -4.55103 -0.31 0.56 -0.12
H 1.86250 -0.27901 -3.02467 0.41 -0.46 -0.01
H 5.56690 -0.24163 4.50930 0.23 -0.13 0.25
H 6.30802 -3.08477 1.97390 -0.71 0.27 -0.43
H 3.07145 2.66290 0.41894 -0.18 0.11 0.09
C 3.23269 -1.81005 0.91230 0.60 0.64 -1.25
O -2.28068 0.85748 0.57966 -0.43 -0.40 -0.03
H -2.82466 -2.18012 -0.23089 -0.35 0.42 0.46
H -2.88025 2.83852 -5.25071 -0.18 -0.03 0.11
C 5.50224 -1.60841 -2.18628 0.39 -0.14 0.06
H 2.26574 4.14855 3.02194 -0.17 -0.17 0.14
Cl 0.38556 0.39863 0.06604 2.38 -0.63 0.07
C -3.01900 -0.09968 2.77004 -0.22 -0.03 0.22
H 3.08687 -2.80056 0.47629 0.26 -0.26 0.19
C 4.52946 -1.74893 1.73006 -0.01 0.87 0.78
H 6.33000 -1.33224 -1.51681 -0.07 -0.22 -0.35
H 5.09284 1.45274 -1.70494 -0.20 0.52 -0.11
H -0.51710 -3.28875 3.20144 0.14 -0.08 0.05
H 5.28830 -2.68428 -2.09676 0.27 0.22 -0.09
O -2.96371 1.20163 -2.29973 0.21 -0.13 -0.58
Cl 0.15221 1.82500 -3.20819 -0.35 0.27 0.20
H -4.08563 -0.91757 0.13546 0.15 -0.41 0.14
S -2.09528 -0.49794 1.30727 -0.65 0.48 -0.73
H 2.54871 2.39654 3.05718 -0.18 0.12 -0.14
C -0.02112 -1.25620 3.65068 0.08 -0.29 0.12
H 0.95843 3.03240 3.54659 0.17 0.09 -0.11
C 2.34314 3.47269 0.50309 -0.01 -0.03 -0.01
H -2.66779 -0.98070 -5.34489 -0.07 0.31 -0.15
H -3.75408 -2.25482 1.34743 0.15 0.33 -0.33
C 5.71756 -2.52122 1.21199 0.18 -0.37 -0.18
H -3.17922 -1.02531 3.32911 -0.08 0.25 0.10
H 6.37848 -1.66826 3.79835 -0.12 0.02 0.03
H 2.87271 4.36055 0.86538 -0.13 0.00 -0.21
C 1.14051 -2.61765 2.00943 0.49 0.40 0.39
C -3.65895 2.26494 -4.73531 0.11 -0.63 -0.11
H 6.64141 -0.05867 3.14544 -0.01 -0.02 -0.06
H -4.01042 -0.16854 -6.19725 0.18 0.08 0.12
H 5.34785 -3.20071 0.42314 0.55 0.07 0.35
H 3.92807 -0.08471 2.86983 -0.17 -0.44 0.29
H -0.64288 2.70183 1.97915 0.30 0.21 -0.14
C -3.33414 -1.60173 0.56212 0.04 -0.01 0.00
H -2.30151 -0.49905 -3.29431 -0.86 0.92 0.11
C -3.04110 -0.01423 -5.70746 0.09 0.16 0.36
H 1.86930 3.65223 -0.45940 0.11 -0.05 0.02
H -2.32917 0.39886 -6.43712 -0.19 -0.05 0.29
H -2.43433 0.61866 3.35509 -0.12 -0.22 -0.11
C 0.71693 -0.14445 3.25782 0.31 0.04 -0.29
Si 3.97340 -0.70975 -1.70617 -2.90 1.24 -0.91
H 0.52998 0.82702 3.72279 0.12 -0.31 -0.08
```
Forces are in eV/Å.

Summary:
- total charge = 0
- LUMO level (eV) = 0.288
- frontier orbital gap (eV) = 8.1
- M (g/mol) = 610.06

These are the Löwdin partial charges, in e, on atoms 1 to 4:
1 O -0.171
2 H 0.086
3 H 0.108
4 N -0.167



[2]
Molecular formula: C22H42Cl3N4O4SiSn
Method: DFT, ωB97M-V with the def2-TZVPD basis set

The geometry in XYZ format:
```
77
Properties=species:S:1:pos:R:3:forces:R:3
H -0.21671 1.35361 -6.70073 0.02 -0.02 -0.25
>>>

Next, find the line further up that holds "-3.95217 0.36123", then type out that line and all lines after it there.

H -3.95217 0.36123 2.42418 0.13 -0.19 0.27
N -3.19598 0.88068 -4.55103 -0.31 0.56 -0.12
H 1.86250 -0.27901 -3.02467 0.41 -0.46 -0.01
H 5.56690 -0.24163 4.50930 0.23 -0.13 0.25
H 6.30802 -3.08477 1.97390 -0.71 0.27 -0.43
H 3.07145 2.66290 0.41894 -0.18 0.11 0.09
C 3.23269 -1.81005 0.91230 0.60 0.64 -1.25
O -2.28068 0.85748 0.57966 -0.43 -0.40 -0.03
H -2.82466 -2.18012 -0.23089 -0.35 0.42 0.46
H -2.88025 2.83852 -5.25071 -0.18 -0.03 0.11
C 5.50224 -1.60841 -2.18628 0.39 -0.14 0.06
H 2.26574 4.14855 3.02194 -0.17 -0.17 0.14
Cl 0.38556 0.39863 0.06604 2.38 -0.63 0.07
C -3.01900 -0.09968 2.77004 -0.22 -0.03 0.22
H 3.08687 -2.80056 0.47629 0.26 -0.26 0.19
C 4.52946 -1.74893 1.73006 -0.01 0.87 0.78
H 6.33000 -1.33224 -1.51681 -0.07 -0.22 -0.35
H 5.09284 1.45274 -1.70494 -0.20 0.52 -0.11
H -0.51710 -3.28875 3.20144 0.14 -0.08 0.05
H 5.28830 -2.68428 -2.09676 0.27 0.22 -0.09
O -2.96371 1.20163 -2.29973 0.21 -0.13 -0.58
Cl 0.15221 1.82500 -3.20819 -0.35 0.27 0.20
H -4.08563 -0.91757 0.13546 0.15 -0.41 0.14
S -2.09528 -0.49794 1.30727 -0.65 0.48 -0.73
H 2.54871 2.39654 3.05718 -0.18 0.12 -0.14
C -0.02112 -1.25620 3.65068 0.08 -0.29 0.12
H 0.95843 3.03240 3.54659 0.17 0.09 -0.11
C 2.34314 3.47269 0.50309 -0.01 -0.03 -0.01
H -2.66779 -0.98070 -5.34489 -0.07 0.31 -0.15
H -3.75408 -2.25482 1.34743 0.15 0.33 -0.33
C 5.71756 -2.52122 1.21199 0.18 -0.37 -0.18
H -3.17922 -1.02531 3.32911 -0.08 0.25 0.10
H 6.37848 -1.66826 3.79835 -0.12 0.02 0.03
H 2.87271 4.36055 0.86538 -0.13 0.00 -0.21
C 1.14051 -2.61765 2.00943 0.49 0.40 0.39
C -3.65895 2.26494 -4.73531 0.11 -0.63 -0.11
H 6.64141 -0.05867 3.14544 -0.01 -0.02 -0.06
H -4.01042 -0.16854 -6.19725 0.18 0.08 0.12
H 5.34785 -3.20071 0.42314 0.55 0.07 0.35
H 3.92807 -0.08471 2.86983 -0.17 -0.44 0.29
H -0.64288 2.70183 1.97915 0.30 0.21 -0.14
C -3.33414 -1.60173 0.56212 0.04 -0.01 0.00
H -2.30151 -0.49905 -3.29431 -0.86 0.92 0.11
C -3.04110 -0.01423 -5.70746 0.09 0.16 0.36
H 1.86930 3.65223 -0.45940 0.11 -0.05 0.02
H -2.32917 0.39886 -6.43712 -0.19 -0.05 0.29
H -2.43433 0.61866 3.35509 -0.12 -0.22 -0.11
C 0.71693 -0.14445 3.25782 0.31 0.04 -0.29
Si 3.97340 -0.70975 -1.70617 -2.90 1.24 -0.91
H 0.52998 0.82702 3.72279 0.12 -0.31 -0.08
```
Forces are in eV/Å.

Summary:
- total charge = 0
- LUMO level (eV) = 0.288
- frontier orbital gap (eV) = 8.1
- M (g/mol) = 610.06

These are the Löwdin partial charges, in e, on atoms 1 to 4:
1 O -0.171
2 H 0.086
3 H 0.108
4 N -0.167



[2]
Molecular formula: C22H42Cl3N4O4SiSn
Method: DFT, ωB97M-V with the def2-TZVPD basis set

The geometry in XYZ format:
```
77
Properties=species:S:1:pos:R:3:forces:R:3
H -0.21671 1.35361 -6.70073 0.02 -0.02 -0.25